www.94365.com, Email: qigangwu@fudan.edu.cn.
博士,1995/09-2000/05,美国 Texas A&M University,大气科学系
硕士,1992/09-1989/07,南京大学 气象系
学士,1985/09-1989/07,南京大学 气象系
2018/02-现在: ?????教授,复旦大学
2010/05-2018/01: ??教授,南京大学
2009/11-2010/02 Visiting Scientist, University of Alaska Fairbanks, International Arctic Research Center
2004/11-2009/10 Research Scientist, University of Oklahoma, School of Meteorology
2002/03-2004/10 Postdoctoral Scientist, Center for Ocean-Land-Atmosphere Studies.
2000/01-2002/02 Postdoctoral Research Associate, Texas A&M University, Dept. of Atmospheric Sciences
1992/08-1995/08 ?技术员, 中国农业科学院气象所
研究方向: 全球气候变化;冰雪圈-大气相互作用;海气相互作用;东亚气候;大气环流
国家自然科学基金面上项目:“研究秋季雪盖和北极海冰异常对冬季大气环流的影响及在季节气候预报中的应用”(41075052, 2011-2013);
国家重点基础研究发展计划项目课题:“低纬度印太海盆增暖对我国季风气候的影响”(2012CB956002, 2012-2016).
2014/01-现在: 中国气象学会冰冻圈与极地气象委员会委员;
2014/01-现在: “Advances in Atmospheric Sciences” Editor
2017/01-现在: “Journal of Meteorological Research” Editor
- 全球气候变化: 利用统计和数值模拟结果比较人为强迫和外界驱动因子等对全球及区域气候变化的不同影响,进而对全球和区域观测气候变化进行归因分析;
- 海冰-大气相互作用: 分析北极海冰消融的成因,特别是大气环流的相对作用;利用观测和模拟研究评估秋冬季海冰减少对北半球冬季气候的影响;
- 积雪气候效应研究: 我们的观测和数值模拟均表明秋冬季青藏高原地区雪盖偏多能引起冬季类似PNA遥相关型的大气响应。目前我们正在开展1979年后积雪趋势强迫产生的气候效应模拟试验,评估积雪的长期气候效应;
- 海气相互作用:中纬度海气相互作用及其相关的季节气候预报,以及热带海洋-中高纬大气相互作用等方面研究。近期研究重点包括:热带印度洋增暖对大尺度大气环流及对东亚季风环流的影响;海温年代际变率IPO/PDO,AMO的气候影响;不同强度ENSO的气候影响;
- 大气环流:早期我关注北极涛动和太平洋北美遥相关等的动力学机制,及对长期气候变化影响。近期我的研究揭示下垫面强迫对这些大气环流主要变率模态的可预报性。
主要SCI论文 (*为通信作者论文)
- Wu, Q.*, Y. Yao, S. Liu, D. Cao, L. Cheng, H. Hu, L. Sun, Y. Yao, Z. Yang, X. Gao and S. R. Schroeder, 2018: Tropical Indian Ocean Warming Contributions to China Winter Climate Trends Since 1960. Climate Dynamics, 50, https://doi.org/10.1007/s00382-017-4059-1.
- Cao, D. Q. Wu*, A. Hu, Y. Yao, S. Liu, S. R. Schroeder, and F. Yang,2017:Linear and Nonlinear Winter Atmospheric Responses to Extreme Phases of Low Frequency Pacific Sea Surface Temperature Variability. Climate Dynamics, 50, https://doi.org/10.1007/s00382-018-4127-1.
- - -
[1]
VASP calculation (r2SCAN) on a relaxed Na8Ti5O14 crystal.

a = 8.3256 Å, b = 8.5085 Å, c = 10.4995 Å
α = 104.13°, β = 102.14°, γ = 112.54°
With the nearest neighbours (Å) after each atom.
Element x y z (fractional)
Na: 0.0000 0.0000 0.0000  6 O 2.30-2.42
Na: 0.0524 0.8228 0.4863  5 O 2.24-2.48
Na: 0.0649 0.6285 0.9351  6 O 2.28-2.41
Na: 0.1247 0.4873 0.3897  6 O 2.34-2.57
Na: 0.1925 0.1234 0.3310  5 O 2.25-2.51
Na: 0.2085 0.9174 0.7947  6 O 2.33-2.50
Na: 0.3177 0.8345 0.3243  4 O 2.26-2.44
Na: 0.3875 0.0218 0.1159  4 O 2.30-2.39
Na: 0.5000 0.5000 0.5000  6 O 2.27-2.42
Na: 0.6125 0.9782 0.8841  4 O 2.30-2.39
Na: 0.6823 0.1655 0.6757  4 O 2.26-2.44
Na: 0.7915 0.0826 0.2053  6 O 2.33-2.50
Na: 0.8075 0.8766 0.6690  5 O 2.25-2.51
Na: 0.8753 0.5127 0.6103  6 O 2.34-2.57
Na: 0.9351 0.3715 0.0649  6 O 2.28-2.41
Na: 0.9476 0.1772 0.5137  5 O 2.24-2.48
Ti: 0.1208 0.2737 0.8449  3 O 1.79-1.92
Ti: 0.2835 0.5741 0.7088  3 O 1.76-1.96
Ti: 0.3114 0.3867 0.1742  3 O 1.80-1.91
Ti: 0.3534 0.2224 0.6497  1 O 1.74
Ti: 0.4648 0.6775 0.0307  4 O 1.82-2.01
Ti: 0.5352 0.3225 0.9693  4 O 1.82-2.01
Ti: 0.6466 0.7776 0.3503  1 O 1.74
Ti: 0.6886 0.6133 0.8258  3 O 1.80-1.91
Ti: 0.7165 0.4259 0.2912  3 O 1.76-1.96
Ti: 0.8792 0.7263 0.1551  3 O 1.79-1.92
O: 0.0604 0.4099 0.7419  2 Ti 1.90-2.01
O: 0.0921 0.2576 0.1889  1 Ti 1.80
O: 0.0986 0.8551 0.1422  1 Ti 1.79
O: 0.1223 0.1006 0.6894  2 Ti 1.92-1.99
O: 0.1773 0.6731 0.6144  1 Ti 1.76
O: 0.2273 0.4905 0.0304  3 Ti 2.01-2.06
O: 0.2523 0.3602 0.5622  2 Ti 1.96-1.97
O: 0.2852 0.2051 0.9841  3 Ti 1.99-2.13
O: 0.3191 0.0478 0.5030  1 Ti 1.74
O: 0.3523 0.7604 0.9082  1 Ti 1.86
O: 0.3933 0.6025 0.3264  2 Ti 1.88-1.98
O: 0.4177 0.4523 0.8552  6 Ti 2.14-2.37
O: 0.4563 0.2992 0.2736  2 Ti 1.91-1.96
O: 0.4803 0.1509 0.8017  1 Ti 1.82
O: 0.5197 0.8491 0.1983  1 Ti 1.82
O: 0.5437 0.7008 0.7264  2 Ti 1.91-1.96
O: 0.5823 0.5477 0.1448  6 Ti 2.14-2.37
O: 0.6067 0.3975 0.6736  2 Ti 1.88-1.98
O: 0.6477 0.2396 0.0918  1 Ti 1.86
O: 0.6809 0.9522 0.4970  1 Ti 1.74
O: 0.7148 0.7949 0.0159  3 Ti 1.99-2.13
O: 0.7477 0.6398 0.4378  2 Ti 1.96-1.97
O: 0.7727 0.5095 0.9696  3 Ti 2.01-2.06
O: 0.8227 0.3269 0.3856  1 Ti 1.76
O: 0.8777 0.8994 0.3106  2 Ti 1.92-1.99
O: 0.9014 0.1449 0.8578  1 Ti 1.79
O: 0.9079 0.7424 0.8111  1 Ti 1.80
O: 0.9396 0.5901 0.2581  2 Ti 1.90-2.01

## Properties
Magnetization   0.00 μB/cell
Formation enthalpy at 0 K   -63.736 kcal/mol of atoms

=====

[2]
VASP calculation (r2SCAN) on a relaxed Y7TmO12 crystal.

a = 9.1620 Å, b = 9.1620 Å, c = 9.1620 Å
α = 109.49°, β = 109.47°, γ = 109.45°
With the nearest neighbours (Å) after each atom.
Element x y z (fractional)
Y: 0.0006 0.4996 0.5013  6 O 2.27-2.29
Y: 0.0017 0.0004 0.0010  6 O 2.27-2.29
Y: 0.0337 0.7837 0.2500  6 O 2.25-2.33
Y: 0.2500 0.4681 0.2181  6 O 2.24-2.34
Y: 0.2500 0.9674 0.7174  6 O 2.24-2.32
Y: 0.4663 0.7163 0.7500  6 O 2.25-2.33
Y: 0.4983 0.4993 0.9987  6 O 2.27-2.29
Y: 0.4994 0.0007 0.4990  6 O 2.27-2.29
Y: 0.5317 0.2817 0.2500  6 O 2.25-2.33
- - -
- Liu, S., Q. Wu*, X. Ren, Y. Yao, S. R. Schroeder and H. Hu, 2017: Modeled Northern Hemisphere autumn and winter climate responses to realistic Tibet Plateau and Mongolia snow anomalies. Journal of Climate, 30, 9435-9454.
The text is interrupted by materials data >
- - -
Record 1
# WO2

WO2 after structural relaxation (GGA+U, the Materials Project database).

Lattice parameters (Å, degrees): 5.0540 5.0540 5.0540 37.40 37.40 37.40
Fractional positions:
W (0.0000, 0.0000, 0.0000)
O (0.2637, 0.2637, 0.2637)
O (0.7363, 0.7363, 0.7363)

Output
total moment = 2.00 μB per formula unit
formation energy = -1.767 eV/atom


Record 2
# W2O7

W2O7 after structural relaxation (GGA+U, the Materials Project database).

Lattice parameters (Å, degrees): 7.3552 7.3552 7.3552 60.00 60.00 60.00
Fractional positions:
W (0.0000, 0.0000, 0.0000)
W (0.0000, 0.0000, 0.5000)
W (0.0000, 0.5000, 0.0000)
W (0.5000, 0.0000, 0.0000)
O (0.0589, 0.0589, 0.6911)
O (0.0589, 0.6911, 0.0589)
O (0.0589, 0.6911, 0.6911)
O (0.3089, 0.3089, 0.9411)
O (0.3089, 0.9411, 0.3089)
O (0.3089, 0.9411, 0.9411)
O (0.3750, 0.3750, 0.3750)
O (0.6250, 0.6250, 0.6250)
O (0.6911, 0.0589, 0.0589)
O (0.6911, 0.0589, 0.6911)
O (0.6911, 0.6911, 0.0589)
O (0.9411, 0.3089, 0.3089)
O (0.9411, 0.3089, 0.9411)
O (0.9411, 0.9411, 0.3089)

Output
total moment = 2.00 μB per formula unit
formation energy = -1.643 eV/atom


Record 3
# WO2

WO2 after structural relaxation (GGA+U, the Materials Project database).

Lattice parameters (Å, degrees): 5.3119 5.3119 10.5856 90.00 90.00 144.53
Fractional positions:
W (0.1330, 0.8670, 0.5751)
W (0.1330, 0.8670, 0.9249)
W (0.8670, 0.1330, 0.0751)
W (0.8670, 0.1330, 0.4249)
O (0.0830, 0.9170, 0.7500)
O (0.2413, 0.7587, 0.0963)
O (0.2413, 0.7587, 0.4037)
O (0.5000, 0.5000, 0.0000)
O (0.5000, 0.5000, 0.5000)
O (0.7587, 0.2413, 0.5963)
O (0.7587, 0.2413, 0.9037)
O (0.9170, 0.0830, 0.2500)

Output
total moment = 2.00 μB per formula unit
formation energy = -1.644 eV/atom


Record 4
# WO3

WO3 after structural relaxation (GGA+U, the Materials Project database).

Lattice parameters (Å, degrees): 3.9435 7.7811 7.5394 90.00 90.10 90.00
Fractional positions:
W (0.0540, 0.2158, 0.2452)
W (0.0540, 0.2842, 0.7452)
W (0.9460, 0.7158, 0.2548)
W (0.9460, 0.7842, 0.7548)
O (0.0012, 0.2504, 0.4984)
O (0.0012, 0.2496, 0.9984)
O (0.0011, 0.5134, 0.7493)
O (0.0011, 0.9866, 0.2493)
O (0.4937, 0.7301, 0.2507)
O (0.4937, 0.7699, 0.7507)
O (0.5063, 0.2301, 0.2493)
O (0.5063, 0.2699, 0.7493)
O (0.9989, 0.0134, 0.7507)
O (0.9989, 0.4866, 0.2507)
O (0.9988, 0.7504, 0.0016)
O (0.9988, 0.7496, 0.5016)

Output
total moment = 0.00 μB per formula unit
formation energy = -2.160 eV/atom


Record 5
# WO2

WO2 after structural relaxation (GGA+U, the Materials Project database).

Lattice parameters (Å, degrees): 9.1814 3.3146 11.2033 90.00 90.00 90.00
Fractional positions:
W (0.0662, 0.2500, 0.1124)
W (0.0747, 0.2500, 0.6106)
W (0.4253, 0.7500, 0.1106)
W (0.4338, 0.7500, 0.6124)
W (0.5662, 0.2500, 0.3876)
W (0.5747, 0.2500, 0.8894)
W (0.9253, 0.7500, 0.3893)
W (0.9338, 0.7500, 0.8876)
O (0.0077, 0.7500, 0.2215)
O (0.0637, 0.2500, 0.4271)
O (0.1098, 0.7500, 0.9995)
O (0.2146, 0.7500, 0.6438)
O (0.2854, 0.2500, 0.1438)
O (0.3902, 0.2500, 0.4995)
O (0.4363, 0.7500, 0.9271)
- - -
- Wu, Q., L. Cheng, D. Chan, Y. Yao, H. Hu and Y. Yao, 2016: Suppressed mid-latitude summer atmospheric warming by Arctic sea ice loss during 1979-2012. Geophysical Research Letters. 43, 2792–2800.
- Hu, C., S. Yang, Q. Wu, Z. Li, J. Chen, K. Deng, T. Zhang, and C. Zhang, 2016: ?Shifting El Ni?o inhibits summer Arctic warming and Arctic sea-ice melting over the Canada Basin. Nature. Communications. 7, 11721. doi: 10.1038/ncomms11721.
- Hu, C., Q. Wu*, S. Yang, 2016:? A linkage observed between austral autumn Antarctic Oscillation and preceding SST anomalies. Journal of Climate, 29, 2109-2122.
- Chan, D., Q. Wu*, G. Jiang and X. Dai, 2016: Projected shifts in Koppen climate zones over China and their temporal evolution in CMIP5 multi-model simulations. Advances in Atmospheric Sciences, 33, 1-11.?? (AAS网站列为亮点论文,作为期刊封面论文发表)
- Hu, C., S. Yang, Q. Wu, 2016: Reinspecting two types of El Ni?o: a new pair of Ni?o indices for improving real-time ENSO monitoring. Climate Dynamics, 47, 4031-4049.
- Chan, D. and Q. Wu*, 2015: Significant anthropogenic-induced changes of climate classes since 1950. Scientific Reports.5, 13487; doi: 10.1038/srep13487.
- Chan D. and Q. Wu*, 2015: Attributing observed SST trends and sub-continental land warming to anthropogenic forcing during 1979-2005. Journal of Climate, 29, 3152-3170.??
'''
[1]
Compound: NbFeB
Source: Materials Project
Functional: PBE
Structure: relaxed

Cell: 3.685 3.685 2.958 Å, 90.00 90.00 120.00°
Fractional coordinates of all 3 atoms:
Nb: 0.333 0.667 0.000
Fe: 0.667 0.333 0.500
B: 0.000 0.000 0.500


[2]
Compound: Nb3Fe20B6
Source: Materials Project
Functional: PBE
Structure: relaxed

Cell: 7.580 7.580 7.580 Å, 60.00 60.00 60.00°
Fractional coordinates of all 29 atoms:
Nb: 0.250 0.250 0.250
Nb: 0.750 0.750 0.750
Nb: 0.000 0.000 0.000
Fe: 0.347 0.653 0.000
Fe: 0.347 0.000 0.653
Fe: 0.000 0.653 0.347
Fe: 0.615 0.154 0.615
Fe: 0.385 0.385 0.846
Fe: 0.846 0.385 0.385
Fe: 0.385 0.385 0.385
Fe: 0.154 0.615 0.615
Fe: 0.615 0.615 0.615
Fe: 0.615 0.615 0.154
Fe: 0.385 0.846 0.385
Fe: 0.653 0.347 0.000
Fe: 0.000 0.347 0.653
Fe: 0.653 0.000 0.000
Fe: 0.000 0.000 0.347
Fe: 0.000 0.000 0.653
Fe: 0.000 0.347 0.000
Fe: 0.653 0.000 0.347
Fe: 0.347 0.000 0.000
Fe: 0.000 0.653 0.000
B: 0.271 0.271 0.729
B: 0.729 0.729 0.271
B: 0.729 0.271 0.729
B: 0.271 0.729 0.271
B: 0.271 0.729 0.729
B: 0.729 0.271 0.271


[3]
Compound: Nd2Fe23B3
Source: Materials Project
Functional: PBE
Structure: relaxed

Cell: 12.190 12.190 12.190 Å, 109.47 109.47 109.47°
Fractional coordinates of all 112 atoms:
Nd: 0.000 0.385 0.500
Nd: 0.615 0.615 0.615
Nd: 0.000 0.885 0.500
Nd: 0.500 0.000 0.885
Nd: 0.885 0.500 0.000
Nd: 0.500 0.000 0.385
Nd: 0.385 0.500 0.000
Nd: 0.115 0.115 0.115
Fe: 0.749 0.939 0.444
Fe: 0.690 0.695 0.251
Fe: 0.580 0.250 0.830
Fe: 0.500 0.000 0.137
Fe: 0.495 0.556 0.805
Fe: 0.953 0.096 0.677
Fe: 0.137 0.500 0.000
Fe: 0.005 0.810 0.061
Fe: 0.276 0.823 0.919
Fe: 0.567 0.830 0.191
Fe: 0.677 0.953 0.096
Fe: 0.080 0.330 0.750
Fe: 0.750 0.080 0.330
Fe: 0.637 0.500 0.000
Fe: 0.876 0.638 0.809
Fe: 0.830 0.191 0.567
Fe: 0.638 0.809 0.876
Fe: 0.309 0.138 0.376
Fe: 0.939 0.444 0.749
Fe: 0.047 0.643 0.724
Fe: 0.830 0.580 0.250
Fe: 0.363 0.363 0.363
Fe: 0.805 0.495 0.556
Fe: 0.776 0.419 0.323
Fe: 0.904 0.081 0.857
Fe: 0.433 0.762 0.624
Fe: 0.500 0.000 0.637
Fe: 0.695 0.251 0.690
Fe: 0.944 0.439 0.249
Fe: 0.250 0.420 0.170
Fe: 0.262 0.933 0.124
Fe: 0.556 0.805 0.495
Fe: 0.195 0.190 0.751
Fe: 0.249 0.944 0.439
Fe: 0.191 0.567 0.830
Fe: 0.081 0.857 0.904
Fe: 0.863 0.863 0.863
Fe: 0.224 0.143 0.547
Fe: 0.362 0.670 0.238
Fe: 0.323 0.776 0.419
Fe: 0.251 0.690 0.695
Fe: 0.738 0.170 0.862
Fe: 0.177 0.596 0.453
Fe: 0.056 0.995 0.305
Fe: 0.691 0.330 0.067
Fe: 0.439 0.249 0.944
Fe: 0.751 0.195 0.190
Fe: 0.453 0.177 0.596
Fe: 0.000 0.137 0.500
Fe: 0.096 0.677 0.953
Fe: 0.170 0.250 0.420
Fe: 0.750 0.670 0.920
Fe: 0.857 0.904 0.081
Fe: 0.809 0.876 0.638
Fe: 0.250 0.830 0.580
Fe: 0.124 0.262 0.933
Fe: 0.670 0.920 0.750
Fe: 0.310 0.505 0.561
Fe: 0.547 0.224 0.143
Fe: 0.143 0.547 0.224
Fe: 0.505 0.561 0.310
Fe: 0.624 0.433 0.762
Fe: 0.561 0.310 0.505
Fe: 0.596 0.453 0.177
Fe: 0.581 0.404 0.357
Fe: 0.061 0.005 0.810
Fe: 0.190 0.751 0.195
Fe: 0.330 0.750 0.080
Fe: 0.238 0.362 0.670
Fe: 0.919 0.276 0.823
Fe: 0.138 0.376 0.309
Fe: 0.810 0.061 0.005
'''
## End of the materials data
- Yao, Y., H. Lin, and Q. Wu, 2015: Subseasonal variability of precipitation in China during boreal winter. Journal of Climate, 28, 6548-6559.
- Hu, C., S. Yang, and Q. Wu, 2015: An optimal index for measuring the effect of East Asian winter monsoon on China winter temperature. Climate Dynamics, 45, 2571-2589.
- Wu, Q., J. Zhang, X. Zhang, and W., Tao 2014: Interannual variability and long-term changes of atmospheric circulation over the Chukchi-Beaufort Seas. Journal of Climate, 27, 4871-4889.
- Hu, H., J. He, Q. Wu, and Y. Zhang, 2011: The Indian Ocean’s asymmetric effect on the coupling of the Northwest Pacific SST and anticyclone anomalies during its spring-summer transition after El Ni?o. Journal of Oceanography, 67, 315-321,DOI 10.1007/s10872-011-0039-y.
- Wu, Q., H. Hu and L. Zhang, 2011: Observed influences of autumn-early winter Eurasian snow cover anomalies on the hemispheric PNA-like variability in winter. Journal of Climate. 24 2017-2023.
- ?Wu, Q., and X. Zhang, 2011: Observed evidence of an impact of the Antarctic sea ice dipole on the Antarctic Oscillation.? Journal of Climate. 24. ?4508-4518.
- Wu, Q., 2010: Associations of diurnal temperature range change with the leading climate variability modes during the Northern Hemisphere wintertime and their implication on the detection of regional climate trends, Journal of Geophysical Research, 115, D19101,doi:10.1029/2010JD014026.
- Wu, Q., and X. Zhang, 2010: Observed forcing feedback processes between Northern Hemisphere atmospheric circulation and Arctic sea ice coverage, Journal of Geophysical Research, 115, D14119, doi:10.1029/2009JD013574.
- Wu, Q., 2010: Forcing of tropical SST anomalies by wintertime AO-like variability. Journal of Climate. 23, 2465-2472.
- Rosenzweig C., D. J. Karoly, M. Vicarelli, P. Neofotis, Q. Wu, G. Casassa, A. Menzel, T. L. Root, N. Estrella, B. Seguin, P. Tryjanowski, C. Liu, S. Rawlins, and A. Imeson, 2008: Attributing physical and biological impacts to anthropogenic climate change. Nature, 453, 353-358.
- Wu, Q., 2008: Observed impact of subtropical-midlatitude South Atlantic SST anomalies on the atmospheric circulation, Geophysical Research Letters, 35, L22803, doi:10.1029/2008GL035488.
- Wu, Q., D. J. Karoly, G. R. North, 2008: Role of water vapor feedback on the amplitude of season cycle in the global mean surface air temperature, Geophysical Research Letters, 35, L08711. doi:10.1029/2008GL033454.
- Wu, Q., and D. J. Karoly, 2007: Implications of changes in the atmospheric circulation on???? the detection of regional surface air temperature trends. Geophysical Research Letters, 34, L08703,doi:10.1029/2006GL028502.
- Karoly D. J., and Q. Wu, 2005: Detection of regional surface temperature trends. Journal of Climate, 18, 4337-4343.?
- Wu, Q., and D. M. Straus, 2004: . Journal of Climate, 17, 2139–2156.
- Wu, Q., and D. M. Straus, 2004: On the existence of hemispheric-wide climate variations. Journal of Geophysical Research, 109, D06118, doi:10.1029/2003JD004230.
- Wu, Q., and G. R. North, 2003: Statistical of calendar month averages of surface temperature: A possible relationship to climate sensitivity.? Journal of Geophysical Research, 108, 4071, doi:10.1029/2002JD002218.
- Wu, Q., and D. M. Straus, 2003: Multiple planetary flow regimes and the eddy forcings in the Northern Hemisphere wintertime variability. Geophysical Research Letters, 30, 1861. 10.1029/2003GL017435.
- Wu, Q., and G. R. North, 2002: Climate sensitivity and thermal inertia.? Geophysical Research Letters, 29 (15), 1707, doi:10.1029/2002GL014864.
- North, G. R., and Q. Wu, 2001: Detecting climate signals using space-time EOFs.? Journal of Climate, 14, 1839-1863.
- Kim, K.-Y., and Q. Wu, 2000: Optimal detection using cyclostationary EOFs. Journal of Climate, 13, 938-950.
- Kim, K.-Y., and Q. Wu, 1999: A comparison study of EOF techniques: analysis of nonstationary data with? periodic? statistics.? Journal of Climate, 12, 185-199.